Telegram from C. Kallman/W. H. Auden to H. W. Henze, September 29, 1965


Show markers in text

more details: General Remark.

Misplaced crystal structures =
'''
Calculated powder XRD pattern of K2LiAsBr6 for CuKα, from a structure optimized by DFT (PBE).

Structure:
Cell lengths 8.233, 8.233, 8.233 Å; angles 56.07, 56.07, 56.07 degrees
Atoms (fractional coordinates):
K1 0.000 0.000 0.000
K2 0.495 0.495 0.495
Li1 0.782 0.782 0.782
As1 0.209 0.209 0.209
Br1 0.055 0.866 0.436
Br2 0.343 0.510 0.971
Br3 0.436 0.055 0.866
Br4 0.510 0.971 0.343
Br5 0.866 0.436 0.055
Br6 0.971 0.343 0.510

The 10 most intense peaks (2θ = 10–90°), in order of rising 2θ:
| two_theta | I_rel |
| --- | --- |
| 13.89 | 33 |
| 15.74 | 29 |
| 25.77 | 27 |
| 26.39 | 100 |
| 27.98 | 35 |
| 31.79 | 48 |
| 34.80 | 41 |
| 41.78 | 22 |
| 45.82 | 28 |
| 49.21 | 25 |

***

Calculated powder XRD pattern of CsAcBi4 for CuKα, from a structure optimized by DFT (PBE).

Structure:
Cell lengths 6.794, 6.794, 6.794 Å; angles 60.00, 60.00, 60.00 degrees
Atoms (fractional coordinates):
Cs1 0.000 0.000 0.000
Ac1 0.750 0.750 0.750
Bi1 0.376 0.376 0.376
Bi2 0.376 0.376 0.873
Bi3 0.376 0.873 0.376
Bi4 0.873 0.376 0.376

The 10 most intense peaks (2θ = 10–90°), in order of rising 2θ:
| two_theta | I_rel |
| --- | --- |
| 15.98 | 11 |
| 26.23 | 21 |
| 30.86 | 100 |
| 32.27 | 47 |
| 49.28 | 37 |
| 53.98 | 34 |
| 63.49 | 13 |
| 64.31 | 20 |
| 76.09 | 24 |
| 88.02 | 14 |

* * * * *

Calculated X-ray powder pattern of Sr2CrMoO6 for λ = 1.5418 Å (Cu Kα), from a crystal structure in Alexandria, relaxed with GGA+U.
Intensities are scaled so that the largest is 100.

Crystal structure
abc: 5.6298 5.6298 5.6298
angles: 60.00 60.00 60.00
Fractional positions:
Sr 0.2500 0.2500 0.2500
Sr 0.7500 0.7500 0.7500
Cr 0.0000 0.0000 0.0000
Mo 0.5000 0.5000 0.5000
O 0.2508 0.2508 0.7492
O 0.2508 0.7492 0.2508
O 0.2508 0.7492 0.7492
O 0.7492 0.2508 0.2508
O 0.7492 0.2508 0.7492
O 0.7492 0.7492 0.2508

Most intense lines, 15° ≤ 2θ ≤ 90°, sorted by position:
2theta  I (rel.)
19.31  5
31.79  100
37.46  3
39.20  6
45.57  36
56.63  38
66.42  21
75.52  16
79.92  2
84.26  7

* * * * *

(1)
Simulated powder diffraction line list
Compound: Cs2LiNdCl6
Radiation: copper Kα
Structure: DFT lattice parameters and positions (PBE)
Intensities are scaled so that the largest is 100.

Atomic structure:
```
data_Cs2LiNdCl6
_symmetry_space_group_name_H-M 'F m -3 m'
_symmetry_Int_Tables_number 225
_symmetry_space_group_name_Hall '-F 4 2 3'
_cell_length_a 10.7805
_cell_length_b 10.7805
_cell_length_c 10.7805
_cell_angle_alpha 90.00
_cell_angle_beta 90.00
_cell_angle_gamma 90.00
loop_
_atom_site_label
_atom_site_type_symbol
_atom_site_fract_x
_atom_site_fract_y
_atom_site_fract_z
Cs1 Cs 0.2500 0.2500 0.2500
Li1 Li 0.0000 0.0000 0.0000
Nd1 Nd 0.0000 0.0000 0.5000
Cl1 Cl 0.0000 0.0000 0.2458
```

Most intense lines, 10 to 90 degrees two-theta, sorted by position:
hkl	2theta	Rel. int.
1 1 1	14.23	33
2 2 0	23.34	100
3 1 1	27.44	24
2 2 2	28.69	39
4 0 0	33.24	71
4 2 2	41.02	46
4 4 0	47.72	48
6 2 0	53.78	22
6 4 2	64.71	25
8 4 0	79.53	21

=====

(2)
Simulated powder diffraction line list
Compound: Cs2LiScCl6
'''


= =CT ELT Henze Laghi 18 CastelgandolfoRomaItaliendavere un dio
Semele K e Zeus A )


[Ricevuto il .........]

Per circuito N. 29/9

[19........ ore......]

Le ore si contano sul meridiano corrispondente al tempo medio
dell’Europa Centrale.
Nei telegrammi impressi a caratteri romani, il primo numero
dopo il nome del luogo di origine rappresenta quello del telegramma,
il secondo quello delle parole, gli altri la data e l’ora e i minuti della

Bollo d’ufficio






Data della Presentazione

Via e indicazioni eventuali d’ufficio

10 Kirchstetten BEZ ST Poeltn[sic] 17 24 29 1515

1,83 112

Che piacere davere[sic] finalmente un Dio nella famiglia bravo =
Semele K e Zeus A

[Figure: ]


Nei telegrammi diretti a
destinatari abbonati a te-
lefono, invece dell’indirizzo
stradale, si può adoperare
l’indicazione (tassata per una
parola): TF......(n. abbonato)
seguita dal cognome o da al-
tra designazione sociale del-
l’abbonato. Es. TF 912468 =
Gastaldi Roma; TF 864319 =
Fabrital Milano.
Qualora il mittente non co-
nosca o non ricordi il numero
telefonico del destinatario può
ugualmente usufruire del ser-
vizio facendo precedere al-
l’indirizzo completo dell’ab-
bonato la sola indicazione TF.
Es. TF = Gastaldi Mario, Via
del Corso, 151 – Roma
Detti telegrammi vengo-
no, nei limiti del possibile,
telefonati subito all’abbonato
e recapitati per posta.

N. ... di recapito. Rimesso al fattorino alle ore ....
[ ]dovuto al fattorino pel recapito Il latore rimette
una ricevuta a stampa quando è incaricato di una riscossione

= ELT = Henze via dei Laghi
18 Castel Gandolfo
RomaItalien ===

Significato delle principali
indicazioni che eventualmente
figurano prima dell’indirizzo
FS = Far proseguire
GP = Da tenere a disposizione
del destinatario pressto
l’Ufficio postale.
MP = Da consegnarsi nelle ma-
ni del destinatario
TC = Telegr. collazionato.
PC = Telegr. con avviso tele-
grafico di ricevimento.
TF = Da telefonarsi al domi-
cilio del destinatario.
TR = Da tenere a disposizione
del destinatario presso
l’Ufficio telegrafico.
RP.x = Telegramma con rispo
sta pagata, x rappresenta
l’ammontare della tassa
pagata in lire italiane, o
franci oro.
XP = Telegramma con tassa di
espresso pagata dal mit-


General Remark

Some parts are illegible due to glued-on paper strips. These have been completed (cf. telegram of 7 September 1966 (Kallman to Henze) .


Elena Minetti
Elena Minetti; Dennis Ried


  • Text Source: Basel (Schweiz), Paul Sacher Stiftung (CH-Bps), Sammlung Hans Werner Henze, Abteilung: Korrespondenz
    Shelf mark: Kallman, Chester

    Physical Description

    • Document type: Telegram
    • Material

    • Dickes weißes Papier
    • Faltung: 3mal längs. Nachdem das Telegramm vertikal gefaltet worden war, wurde es horizontal gefaltet und dann oben mit einem weiteren, mit Klebeband befestigten Stück Papier verschlossen, auf dem die Adresse des Empfängers stand.
    • Extent

    • 1 folio
    • 2 written pages
    • Dimensions: 150x202 [mm] (HxW)
    • Condition

    • Papierstreifen mit vorgedruckter Botschaft, die auf die Vorderseite geklebt wird. Die Rückseite ist mit schwarzem Filzstift bekritzelt, was es manchmal unmöglich macht, einige der vorgedruckten Wörter zu entziffern.
    • Layout

    • Aufbau des Vordrucks für das Telephon-Telegramm
    • Geklebte bedruckte Streifen
    • Das Stück Papier mit Henzes Adresse, das die Laschen des gefalteten Blattes zusammenhielt und oben mit Klebeband befestigt war, weist Risse auf, die durch das Öffnen des Telegramms selbst entstanden sind.

Writing styles

  • 1.
  • 2.
    Handwriting, ballpoint pen (blue).
  • 3.
    Handwriting, pencil.

Text Constitution

  • "davere un dio Semele K e Zeus A )"sic
  • "… K e Zeus A )"Apparently, the addition of the last words ("davere un dio Semele K e Zeus A") here is an error.
  • "… K e Zeus A )"The paper strip is pasted on top of the following data row of the telegram and prevents some pre-printed indications from being read.
  • " 29/9 "added inline, handwritten, ballpoint pen (blue)
  • " "added below, handwritten, ballpoint pen (blue)
  • ""uncertain transcription
  • "… Castelgrandolfo ( Roma ) 29.-9.1965"The stamp is located above and overlaps the word "DAVERE" in the top line.
  • "Poeltn"sic
  • "… Poeltn 17 24 29 1515"The paper strip was pasted to the previous pre-printed line of the form.
  • "1,83"added inline, handwritten, pencil
  • "112"added inline, handwritten, pencil
  • "davere"sic
  • "… "The two preprinted columns are close together when the telegram is folded vertically and open like a window to read the message inside.
  • "… Telegramma"The whole area is glued overhead on the opposite side of this column (bottom). The telegram was originally folded so that this flap served as a seal.
  • Damage due to inkText loss by ink
  • "… Roma Italien ==="This is written on the piece of paper glued at the top to close the flaps of the folded sheet.


  • davere un dioSemele K e Zeus A )
    • to have a god in the family, Semele and Zeus.
  • [Stamp (round)]Poste Castelgrandolfo (Roma)29.-9.1965
    For more information see apparatus
  • "Num."abbreviation of "Numero".
  • Che piacere davere finalmente un Dio nella famiglia bravo = Semele K e Zeus A
    • What a pleasure to finally have a god in the family, bravo, Semele and Zeus.
  • "… Semele K e Zeus A"The two librettists congratulate Henze on finishing the composition of The Bassarids, which was completed on 28 September 1965 (see Henze’s Autobiography, p. 208). They sign using the names of Dionysus’ parents, namely Semele, mortal daughter of the king of Thebes Cadmus and Harmonia and sister of Agave, mother of Pentheus, and Zeus. The myth of the birth of Dionysus tells that the goddess Hera, Zeus’s wife, blinded by jealousy over her husband’s affair with Semele, went to her, assuming the guise of the servant Beroe, and to persuade her to demand that her lover prove himself in all his divine splendor. Semele is so insistent in her request that Zeus agreed, reducing her to ashes with his thunderbolt. But Zeus rescues the son the woman was carrying, Dionysus, and transplants him into her thigh, from which the child will be born in due time. Because of this double birth, appellations of Dionysus are 'the twice-born' or 'the child of the double door', to indicate the one who came twice to the gates of life. Precisely because of his gestation in the thigh of Zeus, Dionysus has a fully divine nature that mere paternal inheritance would not have assured him: in fact, as usual in Greek mythology, from the union of gods and mortal women would be born an exceptionally talented being, but still subject to the human condition.
  • [Figure Description]Picture of a telephone.
  • [Rotation]Section, Text turned clockwise (180°).
  • [Stamp (round)]Poste Castel Gandolfo * (Roma) * 29.9.1965
    For more information see apparatus



        By courtesy of the Estate of W. H. Auden and Chester Kallman.

        Legal notice

        Copyright by the Estate of W. H. Auden and Chester Kallman.

        If you've spotted some error or inaccuracy please do not hesitate to inform us via henze-digital [@]